3918 results found
(Calculated crystals from another source follow)
(1)
Below is crystalline Ac2GaSi at its relaxed geometry, with properties calculated at the PBE level.

Geometry as POSCAR:
```
Ac2GaSi
1.0
0.0000 3.8890 3.8890
3.8890 0.0000 3.8890
3.8890 3.8890 0.0000
Ac Ga Si
2 1 1
Direct
0.7500 0.7500 0.7500
0.2500 0.2500 0.2500
0.5000 0.5000 0.5000
0.0000 0.0000 0.0000
```

As for the calculated total energy: -4.536 eV/atom. Its formation energy is -1.4 eV/f.u. The corrected total energy (MP2020 scheme) comes out at -4.52 eV per atom.


(2)
Below is crystalline AcGaTe2 at its relaxed geometry, with properties calculated at the PBE level.

Geometry as POSCAR:
```
AcGaTe2
1.0
4.8480 -2.4510 -1.5406
2.6174 -3.5460 3.5298
0.1317 -5.5295 -1.1361
Ac Ga Te
1 1 2
Direct
0.5000 0.5000 0.5000
0.0000 0.0000 0.0000
0.2500 0.2500 0.2500
0.7500 0.7500 0.7500
```

As for the calculated total energy: -4.302 eV/atom. Its formation energy is -4.6 eV/f.u. The corrected total energy (MP2020 scheme) comes out at -4.51 eV per atom.


(3)
Below is crystalline Ac2ZnGa at its relaxed geometry, with properties calculated at the PBE level.

Geometry as POSCAR:
```
Ac2ZnGa
1.0
1.0998 -4.1758 3.4850
-2.1573 0.0116 5.1125
-3.9866 -3.6208 1.3374
Ac Zn Ga
2 1 1
Direct
0.7500 0.7500 0.7500
0.2500 0.2500 0.2500
0.0000 0.0000 0.0000
0.5000 0.5000 0.5000
```

As for the calculated total energy: -3.481 eV/atom. Its formation energy is -1.4 eV/f.u.


(4)
Below is crystalline AcGe3 at its relaxed geometry, with properties calculated at the PBE level.

Geometry as POSCAR:
```
AcGe3
1.0
3.3223 -5.7543 0.0000
3.3223 5.7543 0.0000
0.0000 0.0000 4.9680
Ac Ge
2 6
Direct
0.3333 0.6667 0.7500
0.6667 0.3333 0.2500
0.1370 0.2740 0.2500
0.7260 0.8630 0.2500
0.1370 0.8630 0.2500
0.8630 0.7260 0.7500
0.2740 0.1370 0.7500
0.8630 0.1370 0.7500
```

As for the calculated total energy: -4.938 eV/atom. Its formation energy is -1.8 eV/f.u.


Record 1
A relaxed ZnPb2F6 crystal, computed with meta-GGA r2SCAN.

Unit cell a=5.648 b=5.648 c=15.904 alpha=90.00 beta=90.00 gamma=90.00
Sites, in units of the cell vectors:
F 0.303 0.803 0.128
Pb 0.241 0.741 0.905
F 0.803 0.697 0.872
Pb 0.241 0.259 0.405
F 0.500 0.500 0.750
F 0.000 0.000 0.250
Pb 0.259 0.241 0.095
Pb 0.741 0.241 0.595
F 0.500 0.500 0.000
F 0.000 0.500 0.008
F 0.500 0.000 0.492
F 0.000 0.500 0.508
F 0.697 0.803 0.628
F 0.000 0.500 0.216
F 0.197 0.303 0.872
F 0.197 0.697 0.372
F 0.803 0.303 0.372
Zn 0.750 0.250 0.250
Pb 0.759 0.259 0.905
F 0.500 0.500 0.250
F 0.000 0.000 0.750
Pb 0.259 0.759 0.595
Zn 0.250 0.750 0.250
F 0.500 0.000 0.992
F 0.697 0.197 0.128
F 0.500 0.000 0.284
Pb 0.759 0.741 0.405
F 0.500 0.000 0.784
F 0.000 0.000 0.000
F 0.000 0.500 0.716
F 0.000 0.000 0.500
Pb 0.741 0.759 0.095
F 0.303 0.197 0.628
Zn 0.750 0.750 0.750
Zn 0.250 0.250 0.750
F 0.500 0.500 0.500

Size of the total moment, μB/f.u.: 0.00
Crystal system: tetragonal
ΔE_f, eV/f.u.: -23.01



Record 2
A relaxed Te2O5 crystal, computed with meta-GGA r2SCAN.

Unit cell a=4.717 b=5.397 c=7.975 alpha=104.18 beta=90.00 gamma=90.00
Health topics
(Attached: materials data)
# 1
NdTlCd: relaxed, GGA-PBE.

The calculated density comes out at 9.2 g/cm3. For the formation energy, the calculation gives -0.331 eV per atom. For the total DFT energy (no corrections), the calculation gives -3.02 eV/atom.

The structure belongs to space group P6_3/mmc (No. 194); the cell edges are 5.0370, 5.0370 and 7.5478 Å and the angles 90.00°, 90.00° and 120.00°. Symmetry generates all atoms from Nd at (0.0000, 0.0000, 0.0000), Tl at (0.3333, 0.6667, 0.2500) and Cd at (0.3333, 0.6667, 0.7500).


# 2
NdZn2Cd: relaxed, GGA-PBE.

The calculated density comes out at 7.6 g/cm3. For the formation energy, the calculation gives -0.331 eV per atom. For the total DFT energy (no corrections), the calculation gives -2.38 eV/atom.

The structure belongs to space group Fm-3m (No. 225); the cell edges are 6.961, 6.961 and 6.961 Å and the angles 90.00°, 90.00° and 90.00°. Symmetry generates all atoms from Nd at (0.000, 0.000, 0.000), Zn at (0.250, 0.250, 0.250) and Cd at (0.000, 0.000, 0.500).


# 3
Cd3Ni: relaxed, GGA-PBE.

The calculated density comes out at 9.0 g/cm3. For the formation energy, the calculation gives 0.085 eV per atom. The value obtained for the magnetic moment is 0.000 μB per cell. For the total DFT energy (no corrections), the calculation gives -2.05 eV/atom.

The structure belongs to space group Pm-3m (No. 221); the cell edges are 4.180, 4.180 and 4.180 Å and the angles 90.00°, 90.00° and 90.00°. Symmetry generates all atoms from Cd at (0.000, 0.000, 0.500) and Ni at (0.500, 0.500, 0.500).


> Which of these has the lowest total DFT energy (no corrections)?

NdTlCd


> Among the records above, which one has the lowest total DFT energy (no corrections)?

NdTlCd


> What is the formula in the first record?

NdTlCd

=====

# 1
A geometry-optimized MgSiH2O4 structure, computed with PBE.

Calculated values
ΔE to the lowest computed polymorph: 0 meV/atom
E (MP2020): -52.5 eV per cell
energy of formation: -2.363 eV/atom
space group: Pm, No. 6

Cell: 4.3351 2.8596 4.8011 Å, 90.00 93.34 90.00°
Fractional positions:
Mg (0.0000, 0.0000, 0.0000)
Si (0.5006, 0.5000, 0.5271)
H (0.4782, 0.5000, 0.0415)
H (0.9650, 0.0000, 0.4961)
O (0.2715, 0.0000, 0.6310)
O (0.3022, 0.5000, 0.1833)
O (0.7233, 0.5000, 0.8337)
O (0.7477, 0.0000, 0.3840)

***

# 2
A geometry-optimized Mg9Si4H2O18 structure, computed with PBE.

Calculated values
E (MP2020): -464.0 eV per cell
energy of formation: -3.032 eV/atom
space group: P2_1/c, No. 14

Cell: 13.8996 4.8192 10.3662 Å, 90.00 101.60 90.00°
Fractional positions:
Mg (0.0000, 0.0000, 0.0000)
Mg (0.0000, 0.5000, 0.5000)
Mg (0.1124, 0.0091, 0.7490)
Mg (0.1124, 0.4909, 0.2490)
Mg (0.2257, 0.0006, 0.0521)
Mg (0.2257, 0.4994, 0.5521)
Mg (0.3253, 0.5132, 0.8576)
Mg (0.3253, 0.9868, 0.3576)
Mg (0.4564, 0.0177, 0.1232)
Mg (0.4564, 0.4823, 0.6232)
Mg (0.5436, 0.5177, 0.3768)
Mg (0.5436, 0.9823, 0.8768)
Mg (0.6747, 0.0132, 0.6424)
Mg (0.6747, 0.4868, 0.1424)
Mg (0.7743, 0.5006, 0.4479)
Mg (0.7743, 0.9994, 0.9479)
… (STI)? Have unprotected vaginal, anal, or oral sex (not using condoms or not using them correctly). Are a man (or were assigned male at … 25. Have a current STI or a history of STIs. Have sex while using alcohol or drugs. Trade sex for drugs or money. …
Health topics
… to them? How long does it take for a resident's call lights to be answered? Do you see staff members helping … make sure that it doesn't hire people with a history of abusing others? How will you pay for it? How much does the … make sure that it doesn't hire people with a history of abusing others? How will you pay for it? How much does the …
Health topics
… your body. One type may only involve your skin, causing hives or deeper skin swelling (a cutaneous reaction), … of allergy shots on a faster schedule, called "rush immunotherapy." For this you get allergy shots every few hours on … sting are low. I was stung in the past, but I had only a slight skin reaction. True That's right. Only about 4 to 10 …
Health topics
… a brain tumour. I have had surgery, radiation, and chemotherapy, but my tumour has reappeared. My family and I have … a brain tumour. I have had surgery, radiation, and chemotherapy, but my tumour has reappeared. My family and I have … a brain tumour. I have had surgery, radiation, and chemotherapy, but my tumour has reappeared. My family and I have …
Health topics
These crystal structures were left in the article by mistake >
+++
No. 1
r²SCAN RbScF4, relaxed; E = -10.17 eV per atom; space-group type = No. 63; volume = 17.72 Å³ per atom; total magnetic moment = 0.00 Bohr magnetons per cell; ΔE_f = -3860 meV per atom
1.0
2.052 -6.468 0.000
2.052 6.468 0.000
0.000 0.000 8.013
Rb Sc F
2 2 8
Direct
0.231 0.769 0.750 Rb
0.769 0.231 0.250 Rb
0.500 0.500 0.000 Sc
0.500 0.500 0.500 Sc
0.000 0.000 0.000 F
0.000 0.000 0.500 F
0.350 0.650 0.049 F
0.350 0.650 0.451 F
0.466 0.534 0.750 F
0.534 0.466 0.250 F
0.650 0.350 0.549 F
0.650 0.350 0.951 F


No. 2
r²SCAN Ho5Ge10Rh4, relaxed; E = -21.90 eV per atom; space-group type = No. 127; volume = 18.81 Å³ per atom; total magnetic moment = 0.00 Bohr magnetons per cell; ΔE_f = -861 meV per atom
1.0
12.949 0.000 0.000
0.000 12.949 0.000
0.000 0.000 4.262
Ho Ge Rh
10 20 8
Direct
0.000 0.000 0.000 Ho
0.113 0.387 0.500 Ho
0.174 0.674 0.500 Ho
0.326 0.174 0.500 Ho
0.387 0.887 0.500 Ho
0.500 0.500 0.000 Ho
0.613 0.113 0.500 Ho
0.674 0.826 0.500 Ho
0.826 0.326 0.500 Ho
0.887 0.613 0.500 Ho
0.003 0.842 0.500 Ge
0.067 0.567 0.000 Ge
0.158 0.003 0.500 Ge
0.162 0.201 0.000 Ge
0.201 0.838 0.000 Ge
0.299 0.338 0.000 Ge
0.338 0.701 0.000 Ge
0.342 0.503 0.500 Ge
0.433 0.067 0.000 Ge
0.497 0.342 0.500 Ge
0.503 0.658 0.500 Ge
0.567 0.933 0.000 Ge
0.658 0.497 0.500 Ge
0.662 0.299 0.000 Ge
0.701 0.662 0.000 Ge
0.799 0.162 0.000 Ge
0.838 0.799 0.000 Ge
0.842 0.997 0.500 Ge
0.933 0.433 0.000 Ge
0.997 0.158 0.500 Ge
0.021 0.755 0.000 Rh
0.245 0.021 0.000 Rh
0.255 0.521 0.000 Rh
0.479 0.255 0.000 Rh
0.521 0.745 0.000 Rh
0.745 0.479 0.000 Rh
0.755 0.979 0.000 Rh
0.979 0.245 0.000 Rh


No. 3
r²SCAN PuI4O12, relaxed; E = -15.99 eV per atom; space-group type = No. 86; volume = 15.21 Å³ per atom; total magnetic moment = 8.00 Bohr magnetons per cell; ΔE_f = -917 meV per atom
1.0
9.862 0.000 0.000
0.000 9.862 0.000
0.000 0.000 5.316
Pu I O
2 8 24
Direct
0.250 0.250 0.250 Pu
0.750 0.750 0.750 Pu
0.026 0.750 0.220 I
0.250 0.526 0.720 I
0.250 0.974 0.720 I
0.474 0.750 0.220 I
0.526 0.250 0.780 I
0.750 0.026 0.280 I
0.750 0.474 0.280 I
0.974 0.250 0.780 I
0.058 0.330 0.046 O
0.094 0.323 0.554 O
0.128 0.841 0.754 O
0.159 0.628 0.254 O
0.170 0.058 0.454 O
0.177 0.094 0.946 O
0.323 0.406 0.946 O
0.330 0.442 0.454 O
0.341 0.872 0.254 O
0.372 0.659 0.754 O
0.406 0.177 0.554 O
0.442 0.170 0.046 O
0.558 0.830 0.954 O
0.594 0.823 0.446 O
0.628 0.341 0.246 O
0.659 0.128 0.746 O
0.670 0.558 0.546 O
0.677 0.594 0.054 O
0.823 0.906 0.054 O
0.830 0.942 0.546 O
0.841 0.372 0.746 O
0.872 0.159 0.246 O
0.906 0.677 0.446 O
0.942 0.670 0.954 O


No. 4
r²SCAN ZnAg2P2O9, relaxed; E = -10.19 eV per atom; space-group type = No. 62; volume = 12.10 Å³ per atom; total magnetic moment = 0.00 Bohr magnetons per cell; ΔE_f = -1373 meV per atom
1.0
17.008 0.000 0.000
0.000 6.219 0.000
0.000 0.000 6.407
Zn Ag P O
4 8 8 36
Direct
0.206 0.250 0.121 Zn
0.294 0.750 0.621 Zn
0.706 0.250 0.379 Zn
0.794 0.750 0.879 Zn
0.000 0.000 0.000 Ag
0.000 0.500 0.000 Ag
0.123 0.250 0.627 Ag
0.377 0.750 0.127 Ag
+++
… As the anemia gets worse, you may: Feel weak, tired, and light-headed. Have pale skin. Have a sore, red tongue or … As the anemia gets worse, you may: Feel weak, tired, and light-headed. Have pale skin. Have a sore, red tongue or …
Health topics
… brain and other vital organs. These symptoms may include light-headedness, fatigue, and low urine output. If the … brain and other vital organs. These symptoms may include light-headedness, fatigue, and low urine output. If the …
Health topics
… want to avoid serving fresh or frozen tuna (not canned "light" tuna), shark, swordfish, marlin, orange roughy, and … want to avoid serving fresh or frozen tuna (not canned "light" tuna), shark, swordfish, marlin, orange roughy, and …
Health topics
… sex. Urinate immediately after sexual intercourse. Avoid using condoms coated with spermicide or a diaphragm for … the urine less concentrated and wash out the infection-causing bacteria. This may alter some of your body's normal … Never go to sleep with a heating pad in place. Learn more Using Antibiotics Wisely Benign …
Health topics
… jaw, or upper belly, or in one or both shoulders or arms. Light-headedness or sudden weakness. A fast or irregular … to wonder what you want. And you can spend your time focusing on your relationships. You will need to decide if you … to form. These clots block blood flow to your heart, causing a heart attack or unstable angina . Complications of …
Health topics